**File:**
<<<
FeSb3 | PBE-GGA | relaxed

**Energy with MP2020 corrections**: -5.3813 eV/atom

a = 9.1783 Å, b = 9.1783 Å, c = 9.1783 Å
α = 90.00°, β = 90.00°, γ = 90.00°
Closest atoms and distances in Å follow each position.
Space group Im-3 (No. 204)
Symmetry-distinct sites (fractional):
Fe  0.2500  0.2500  0.2500  6 Sb 2.55
Sb  0.0000  0.1597  0.3309  2 Fe 2.55

KCr5Te8 | PBE-GGA | relaxed

**Energy with MP2020 corrections**: -5.8793 eV/atom

a = 20.4869 Å, b = 4.0328 Å, c = 9.6156 Å
α = 90.00°, β = 104.61°, γ = 90.00°
Closest atoms and distances in Å follow each position.
Space group C2/m (No. 12)
Symmetry-distinct sites (fractional):
K  0.0000  0.0000  0.0000  10 Te 3.81-4.05, 2 K 4.03
Cr  0.0000  0.5000  0.5000  6 Te 2.72-2.75
Cr  0.1592  0.0000  0.4865  6 Te 2.71-2.85
Cr  0.2043  0.0000  0.8314  6 Te 2.70-2.83
Te  0.0725  0.0000  0.6628  4 Cr 2.75-2.78
Te  0.0881  0.5000  0.3300  3 Cr 2.71-2.72
Te  0.1704  0.5000  0.9909  3 Cr 2.70-2.73
Te  0.2397  0.5000  0.6580  5 Cr 2.77-2.85

Nb4Fe4Si7 | PBE-GGA | relaxed

**Energy with MP2020 corrections**: -8.0606 eV/atom

a = 12.5912 Å, b = 12.5912 Å, c = 5.0041 Å
α = 90.00°, β = 90.00°, γ = 90.00°
Closest atoms and distances in Å follow each position.
Space group I4/mmm (No. 139)
Symmetry-distinct sites (fractional):
Nb  0.0000  0.1922  0.0000  7 Si 2.64-2.83
Nb  0.1351  0.1351  0.5000  7 Si 2.66-2.83
Fe  0.1495  0.3505  0.2500  6 Si 2.30-2.36, 2 Fe 2.50
Si  0.0000  0.0000  0.2506  2 Si 2.50-2.51, 8 Nb 2.71-2.73
Si  0.0000  0.2971  0.5000  4 Fe 2.36
Si  0.0000  0.4057  0.0000  4 Fe 2.36, 1 Si 2.37
Si  0.2092  0.2092  0.0000  4 Fe 2.30

NaCd2Si3O9 | PBE-GGA | relaxed

**Energy with MP2020 corrections**: -6.7912 eV/atom

a = 7.0340 Å, b = 7.0609 Å, c = 7.9530 Å
α = 95.05°, β = 102.35°, γ = 90.49°
Closest atoms and distances in Å follow each position.
Space group P-1 (No. 2)
Symmetry-distinct sites (fractional):
Na  0.2373  0.1486  0.4336  5 O 2.32-2.56
Cd  0.0892  0.6483  0.8541  6 O 2.28-2.39
Cd  0.4144  0.3662  0.1513  6 O 2.29-2.43
Si  0.0950  0.1609  0.7829  4 O 1.62-1.67
Si  0.2348  0.6474  0.4520  4 O 1.62-1.68
Si  0.4526  0.8474  0.2127  4 O 1.63-1.66
O  0.0036  0.9538  0.8103  1 Si 1.64
O  0.0340  0.7740  0.4033  2 Si 1.67
O  0.1104  0.3316  0.9365  1 Si 1.62
O  0.2072  0.4463  0.3305  1 Si 1.63
O  0.2888  0.6250  0.6577  1 Si 1.62
O  0.3088  0.1160  0.7371  2 Si 1.65
O  0.3512  0.0504  0.1760  1 Si 1.63
O  0.3925  0.6782  0.0556  1 Si 1.63
O  0.4071  0.7804  0.3961  2 Si 1.66-1.68

Gd7Ti8O26 | PBE-GGA | relaxed

**Energy with MP2020 corrections**: -10.7349 eV/atom

a = 7.2167 Å, b = 7.3394 Å, c = 10.2952 Å
α = 89.43°, β = 88.63°, γ = 89.77°
Closest atoms and distances in Å follow each position.
Space group P1 (No. 1)
Symmetry-distinct sites (fractional):
Gd  0.0000  0.0000  0.0000  2 O 2.14-2.31
Gd  0.0036  0.5112  0.0094  3 O 2.16-2.38
Gd  0.2280  0.7694  0.2735  3 O 2.19-2.30
Gd  0.2621  0.2352  0.7402  6 O 2.23-2.45
Gd  0.5115  0.5331  0.5052  4 O 2.16-2.37
Gd  0.5462  0.0205  0.4792  3 O 2.21-2.37
Gd  0.7735  0.2762  0.7338  6 O 2.25-2.49
Ti  0.0243  0.0184  0.5074  6 O 1.93-2.03
Ti  0.0460  0.5247  0.5234  5 O 1.83-1.99
Ti  0.2725  0.7693  0.7663  6 O 1.88-2.10
Ti  0.2760  0.2651  0.2488  6 O 1.96-2.06
Ti  0.5057  0.0509  0.9992  5 O 1.88-2.00
Ti  0.5163  0.4744  0.9991  5 O 1.89-2.02
Ti  0.7546  0.7713  0.7566  5 O 1.88-2.04
Ti  0.7645  0.2336  0.2283  5 O 1.81-2.01
O  0.0107  0.2618  0.8743  4 Gd 2.26-2.31
O  0.0144  0.7611  0.8145  2 Ti 1.92-1.98
O  0.0195  0.2585  0.1642  2 Ti 1.95-2.06
O  0.0248  0.7601  0.1186  3 Gd 2.14-2.19
O  0.0275  0.7690  0.4507  2 Ti 1.93-1.94
O  0.0285  0.2695  0.5888  2 Ti 1.99-2.03
O  0.1864  0.4597  0.3749  2 Ti 1.88-2.03
O  0.2195  0.0730  0.3768  2 Ti 1.96
O  0.2222  0.9698  0.6298  2 Ti 1.96-2.06
O  0.2371  0.5566  0.6343  1 Ti 1.83
O  0.3077  0.9690  0.8818  2 Ti 1.92-1.99
O  0.3219  0.0434  0.1322  2 Ti 1.88-2.05
O  0.3235  0.4822  0.1326  2 Ti 1.93-2.01
O  0.3262  0.5877  0.8906  2 Ti 1.88-1.97
O  0.4964  0.7649  0.3747  3 Gd 2.16-2.22
>>>

**To do:**
Could you write out the whole of the entries above exactly?

**Reply:**
FeSb3 | PBE-GGA | relaxed

**Energy with MP2020 corrections**: -5.3813 eV/atom

a = 9.1783 Å, b = 9.1783 Å, c = 9.1783 Å
α = 90.00°, β = 90.00°, γ = 90.00°
Closest atoms and distances in Å follow each position.
Space group Im-3 (No. 204)
Symmetry-distinct sites (fractional):
Fe  0.2500  0.2500  0.2500  6 Sb 2.55
Sb  0.0000  0.1597  0.3309  2 Fe 2.55

KCr5Te8 | PBE-GGA | relaxed

**Energy with MP2020 corrections**: -5.8793 eV/atom

a = 20.4869 Å, b = 4.0328 Å, c = 9.6156 Å
α = 90.00°, β = 104.61°, γ = 90.00°
Closest atoms and distances in Å follow each position.
Space group C2/m (No. 12)
Symmetry-distinct sites (fractional):
K  0.0000  0.0000  0.0000  10 Te 3.81-4.05, 2 K 4.03
Cr  0.0000  0.5000  0.5000  6 Te 2.72-2.75
Cr  0.1592  0.0000  0.4865  6 Te 2.71-2.85
Cr  0.2043  0.0000  0.8314  6 Te 2.70-2.83
Te  0.0725  0.0000  0.6628  4 Cr 2.75-2.78
Te  0.0881  0.5000  0.3300  3 Cr 2.71-2.72
Te  0.1704  0.5000  0.9909  3 Cr 2.70-2.73
Te  0.2397  0.5000  0.6580  5 Cr 2.77-2.85

Nb4Fe4Si7 | PBE-GGA | relaxed

**Energy with MP2020 corrections**: -8.0606 eV/atom

a = 12.5912 Å, b = 12.5912 Å, c = 5.0041 Å
α = 90.00°, β = 90.00°, γ = 90.00°
Closest atoms and distances in Å follow each position.
Space group I4/mmm (No. 139)
Symmetry-distinct sites (fractional):
Nb  0.0000  0.1922  0.0000  7 Si 2.64-2.83
Nb  0.1351  0.1351  0.5000  7 Si 2.66-2.83
Fe  0.1495  0.3505  0.2500  6 Si 2.30-2.36, 2 Fe 2.50
Si  0.0000  0.0000  0.2506  2 Si 2.50-2.51, 8 Nb 2.71-2.73
Si  0.0000  0.2971  0.5000  4 Fe 2.36
Si  0.0000  0.4057  0.0000  4 Fe 2.36, 1 Si 2.37
Si  0.2092  0.2092  0.0000  4 Fe 2.30

NaCd2Si3O9 | PBE-GGA | relaxed

**Energy with MP2020 corrections**: -6.7912 eV/atom

a = 7.0340 Å, b = 7.0609 Å, c = 7.9530 Å
α = 95.05°, β = 102.35°, γ = 90.49°
Closest atoms and distances in Å follow each position.
Space group P-1 (No. 2)
Symmetry-distinct sites (fractional):
Na  0.2373  0.1486  0.4336  5 O 2.32-2.56
Cd  0.0892  0.6483  0.8541  6 O 2.28-2.39
Cd  0.4144  0.3662  0.1513  6 O 2.29-2.43
Si  0.0950  0.1609  0.7829  4 O 1.62-1.67
Si  0.2348  0.6474  0.4520  4 O 1.62-1.68
Si  0.4526  0.8474  0.2127  4 O 1.63-1.66
O  0.0036  0.9538  0.8103  1 Si 1.64
O  0.0340  0.7740  0.4033  2 Si 1.67
O  0.1104  0.3316  0.9365  1 Si 1.62
O  0.2072  0.4463  0.3305  1 Si 1.63
O  0.2888  0.6250  0.6577  1 Si 1.62
O  0.3088  0.1160  0.7371  2 Si 1.65
O  0.3512  0.0504  0.1760  1 Si 1.63
O  0.3925  0.6782  0.0556  1 Si 1.63
O  0.4071  0.7804  0.3961  2 Si 1.66-1.68

Gd7Ti8O26 | PBE-GGA | relaxed

**Energy with MP2020 corrections**: -10.7349 eV/atom

a = 7.2167 Å, b = 7.3394 Å, c = 10.2952 Å
α = 89.43°, β = 88.63°, γ = 89.77°
Closest atoms and distances in Å follow each position.
Space group P1 (No. 1)
Symmetry-distinct sites (fractional):
Gd  0.0000  0.0000  0.0000  2 O 2.14-2.31
Gd  0.0036  0.5112  0.0094  3 O 2.16-2.38
Gd  0.2280  0.7694  0.2735  3 O 2.19-2.30
Gd  0.2621  0.2352  0.7402  6 O 2.23-2.45
Gd  0.5115  0.5331  0.5052  4 O 2.16-2.37
Gd  0.5462  0.0205  0.4792  3 O 2.21-2.37
Gd  0.7735  0.2762  0.7338  6 O 2.25-2.49
Ti  0.0243  0.0184  0.5074  6 O 1.93-2.03
Ti  0.0460  0.5247  0.5234  5 O 1.83-1.99
Ti  0.2725  0.7693  0.7663  6 O 1.88-2.10
Ti  0.2760  0.2651  0.2488  6 O 1.96-2.06
Ti  0.5057  0.0509  0.9992  5 O 1.88-2.00
Ti  0.5163  0.4744  0.9991  5 O 1.89-2.02
Ti  0.7546  0.7713  0.7566  5 O 1.88-2.04
Ti  0.7645  0.2336  0.2283  5 O 1.81-2.01
O  0.0107  0.2618  0.8743  4 Gd 2.26-2.31
O  0.0144  0.7611  0.8145  2 Ti 1.92-1.98
O  0.0195  0.2585  0.1642  2 Ti 1.95-2.06
O  0.0248  0.7601  0.1186  3 Gd 2.14-2.19
O  0.0275  0.7690  0.4507  2 Ti 1.93-1.94
O  0.0285  0.2695  0.5888  2 Ti 1.99-2.03
O  0.1864  0.4597  0.3749  2 Ti 1.88-2.03
O  0.2195  0.0730  0.3768  2 Ti 1.96
O  0.2222  0.9698  0.6298  2 Ti 1.96-2.06
O  0.2371  0.5566  0.6343  1 Ti 1.83
O  0.3077  0.9690  0.8818  2 Ti 1.92-1.99
O  0.3219  0.0434  0.1322  2 Ti 1.88-2.05
O  0.3235  0.4822  0.1326  2 Ti 1.93-2.01
O  0.3262  0.5877  0.8906  2 Ti 1.88-1.97
O  0.4964  0.7649  0.3747  3 Gd 2.16-2.22